Important People* Flashcards
What is Arnold Lazarus well known for?
Lazarus is well known for being a pioneer in behavioral therapy, especially systematic desensitization. He is also known for multimodal therapy.
What is Jay Haley known for?
Strategic and Problem solving therapy
What is Jean Piaget known for?
Cognitive development of children
What is Alfred Binet known for?
Development of the first intelligence test.
What is Robert Kegan known for?
Cognitive development of adults
What is William Perry known for?
Dualistic thinking
What is A.A. Brill known for?
Psychoanalytic Career theory
What is Milton H. Erickson known for?
Brief psychotherapy and innovative techniques
What is Freud known for?
Psychosexual stages
What is Erik Erikson known for?
Psychosocial stages
What is Lev Vygotsky known for?
Disagreed with Piaget that development occurs naturally; argued that stages of development occur after educational intervention.
What is Lawrence Kohlberg known for?
Leading theorist regarding moral development
What is John B. Watson known for?
Father of behaviorism
What is CG. Jung known for?
Father of analytic psychology
What is Alfred Adler known for?
Founder of Individual psychology; inferiority complex
What is Martin Seligman known for?
Learned helplessness
What is Harry Stack Sullivan known for?
psychiatry of interpersonal relations: the stages of infancy, childhood, the juvenile era, preadolescence, early adolescence, and late adolescence.
What is John Bowlby known for?
Bonding and attachment
What is Arnold Gessell known for?
using a one way mirror to observe children
What is Harry Harlow known for?
working with rhesus monkeys regarding maternal deprivation and isolation
What is Rene Spitz known for?
anaclitic depression
What is Eleanor Gibson known for?
The visual cliff measuring child depth perception
What is John Locke known for?
17th century philosopher associated with empiracism
What is Kurt Goldstein known for?
he is a gestalt psychologist emphasizing a holistic (organismic) view
What is Konrad Lorenz known for?
Imprinting goslings to make them believe he’s their mother
What is William Glasser known for?
Father of reality therapy
What is Frank Parsons known for?
School Counseling; father of guidance
What is Albert Ellis known for?
What is Joseph Wolpe known for?
Systematic desensitization to reduce phobias
What is Eric Berne known for?
== Materials data, kept here for reference ==
'''
# Na6Hf4Zr4Si7S5O48, optimized geometry, DFT PBE
data_Na6Hf4Zr4Si7S5O48
_cell_length_a 9.019
_cell_length_b 15.720
_cell_length_c 23.354
_cell_angle_alpha 90.00
_cell_angle_beta 89.89
_cell_angle_gamma 89.95
_space_group_name_H-M_alt 'P 1'
_space_group_IT_number 1
_space_group_name_Hall 'P 1'
loop_
_atom_site_label
_atom_site_type_symbol
_atom_site_fract_x
_atom_site_fract_y
_atom_site_fract_z
Na1 Na 0.000 0.000 0.000
Na2 Na 0.001 0.002 0.496
Na3 Na 0.003 0.341 0.163
Na4 Na 0.147 0.837 0.413
Na5 Na 0.347 0.336 0.920
Na6 Na 0.493 0.501 0.495
Na7 Na 0.493 0.841 0.661
Na8 Na 0.496 0.501 0.003
Na9 Na 0.498 0.158 0.339
Na10 Na 0.505 0.158 0.834
Na11 Na 0.505 0.837 0.175
Na12 Na 0.630 0.334 0.420
Na13 Na 0.647 0.670 0.085
Na14 Na 0.851 0.169 0.582
Na15 Na 0.868 0.835 0.922
Na16 Na 0.982 0.336 0.671
Na17 Na 0.994 0.666 0.329
Na18 Na 0.999 0.660 0.841
Hf1 Hf 0.002 0.336 0.320
Hf2 Hf 0.015 0.338 0.023
Hf3 Hf 0.481 0.839 0.521
Hf4 Hf 0.486 0.837 0.309
Hf5 Hf 0.495 0.837 0.821
Hf6 Hf 0.498 0.168 0.188
Hf7 Hf 0.512 0.496 0.648
Hf8 Hf 0.516 0.165 0.685
Hf9 Hf 0.981 0.671 0.188
Hf10 Hf 0.989 0.991 0.150
Hf11 Hf 0.998 0.669 0.687
Hf12 Hf 0.999 0.336 0.813
Zr1 Zr 0.005 0.669 0.478
Zr2 Zr 0.490 0.167 0.981
Zr3 Zr 0.498 0.510 0.358
Zr4 Zr 0.501 0.836 0.017
Zr5 Zr 0.504 0.501 0.147
Zr6 Zr 0.505 0.510 0.856
Zr7 Zr 0.506 0.166 0.477
Zr8 Zr 0.992 0.001 0.646
Zr9 Zr 0.992 0.666 0.979
Zr10 Zr 0.993 0.336 0.515
Zr11 Zr 0.994 0.003 0.352
Zr12 Zr 0.997 0.010 0.859
Si1 Si 0.139 0.193 0.918
Si2 Si 0.141 0.853 0.251
Si3 Si 0.142 0.480 0.916
Si4 Si 0.144 0.813 0.585
Si5 Si 0.206 0.834 0.918
Si6 Si 0.290 0.334 0.418
Si7 Si 0.352 0.980 0.416
Si8 Si 0.355 0.313 0.085
Si9 Si 0.360 0.693 0.418
Si10 Si 0.640 0.019 0.583
Si11 Si 0.641 0.983 0.917
Si12 Si 0.642 0.648 0.251
Si13 Si 0.642 0.690 0.918
Si14 Si 0.645 0.315 0.583
Si15 Si 0.703 0.003 0.251
Si16 Si 0.795 0.502 0.751
Si17 Si 0.851 0.816 0.082
Si18 Si 0.854 0.148 0.750
Si19 Si 0.854 0.482 0.416
Si20 Si 0.857 0.186 0.417
Si21 Si 0.858 0.521 0.085
S1 S 0.143 0.149 0.249
S2 S 0.145 0.524 0.586
S3 S 0.205 0.500 0.250
S4 S 0.210 0.169 0.586
S5 S 0.287 0.669 0.085
S6 S 0.291 0.001 0.750
S7 S 0.351 0.024 0.086
S8 S 0.353 0.648 0.749
S9 S 0.354 0.356 0.750
S10 S 0.646 0.354 0.251
S11 S 0.707 0.667 0.585
S12 S 0.710 0.334 0.918
S13 S 0.784 0.835 0.418
S14 S 0.789 0.168 0.085
S15 S 0.850 0.854 0.751
O1 O 0.065 0.236 0.974
O2 O 0.069 0.433 0.860
O3 O 0.069 0.769 0.528
O4 O 0.071 0.897 0.309
O5 O 0.072 0.758 0.242
O6 O 0.073 0.908 0.594
O7 O 0.076 0.097 0.912
O8 O 0.076 0.235 0.255
O9 O 0.076 0.574 0.924
O10 O 0.077 0.566 0.637
O11 O 0.078 0.439 0.582
O12 O 0.080 0.108 0.197
O13 O 0.097 0.916 0.908
O14 O 0.099 0.751 0.923
O15 O 0.103 0.752 0.640
O16 O 0.106 0.916 0.196
O17 O 0.108 0.422 0.255
O18 O 0.110 0.245 0.582
O19 O 0.111 0.092 0.591
O20 O 0.113 0.577 0.244
O21 O 0.116 0.253 0.862
O22 O 0.117 0.575 0.534
O23 O 0.120 0.097 0.301
O24 O 0.120 0.418 0.972
O25 O 0.170 0.983 0.411
O26 O 0.174 0.319 0.080
O27 O 0.175 0.686 0.426
'''
Father of Transactional Analysis
What is Emile Durkheim known for?
founders of modern sociology and did extensive research in suicide; stopped “armchair speculation” and started research”
What is William McDougall known for?
father of Hormic psychology
What is Carol Gilligan known for?
Feminist; Ethical community and relationships
What is Leon Festinger known for?
Cognitive Dissonance (1957)
What is F.H. Allport known for?
The concept of Social facilitation.
What is Edward Alsworth Ross known for?
Social Psychology
What is Jacob Moreno known for?
Pionered psychodrama and coined the term group therapy.
What is Irvin Yalom known for?
Existentialist known for group work
What is John Holland known for?
Occupational psychology (environment should be congruent with personality type)
What is Anne Roe known for?
Cognitive theory of hypnotism
What is Andrew Salter known for?
Pioneer in behavior therapy; created paradigm dubbed conditioned reflex therapy and behaviorist theory of hypnosis and autohypnosis
What is Joseph Pratt known for?
Boston physician formed counseling/therapy groups in 1905-1923 to cope with tuberculosis
What is Fritz Perlz known for?
Father of Gestalt therapy
What is Edmund Griffith (E.G.) Williamson known for?
Associated with the Minnesota Viewpoint
What is Gerald Corey known for?
Extensive work on Group Therapy.
What is Victor Vroom known for?
Expectancy theory of motivation and management
What is Anne Roe known for?
Psychoanalytic theory of career counseling based heavily on personality theory
What is Edwin Bordin known for?
Psychoanalytic theory of career counseling which argued career choices could be used to resolve other unconscious conflicts
What is Donald Super known for?
Five stage developmental theory of career development